
Thursday, May 8, 2008

Sick . . . Sick . . . Sick (1985)

From the March 1985 issue of the Socialist Standard

/*
1.
Starting from a cell relaxed with PBE, the powder X-ray diffraction pattern of Ti4AlNi2 was calculated for λ = 1.5418 Å (Cu Kα).
Peak positions follow from Bragg's law for the DFT cell and can differ from measured ones.

Crystal structure
Cell: 8.2576 8.2576 8.2576 Å, 29.07 29.07 29.07°
Element x y z (fractional)
Ti  0.1159  0.1159  0.1159
Ti  0.2954  0.2954  0.2954
Ti  0.7046  0.7046  0.7046
Ti  0.8841  0.8841  0.8841
Al  0.5000  0.5000  0.5000
Ni  0.3978  0.3978  0.3978
Ni  0.6022  0.6022  0.6022

Peak list (6 most intense, 2θ from 10° to 90°, by intensity)
2θ/deg  intensity
43.68  100
45.87  67
29.08  49
25.09  30
65.21  26
36.47  22

=====

2.
Starting from a cell relaxed with PBE, the powder X-ray diffraction pattern of TiAl3Ni4 was calculated for λ = 1.5418 Å (Cu Kα).
Peak positions follow from Bragg's law for the DFT cell and can differ from measured ones.

Crystal structure
Cell: 4.1027 4.1027 5.9397 Å, 90.00 90.00 90.00°
Element x y z (fractional)
Ti  0.0000  0.0000  0.0000
Al  0.0000  0.0000  0.5000
Al  0.5000  0.5000  0.0000
Al  0.5000  0.5000  0.5000
Ni  0.0000  0.5000  0.2520
Ni  0.0000  0.5000  0.7480
Ni  0.5000  0.0000  0.2520
Ni  0.5000  0.0000  0.7480

Peak list (6 most intense, 2θ from 10° to 90°, by intensity)
2θ/deg  intensity
43.61  100
44.15  48
80.85  29
30.82  15
79.72  15
64.21  15
*/

Yet another circular from the Church of Scientology dropped through my letter box the other day. I must have received dozens since I bought a copy of the book Dianetics: the Modern Science of Mental Health a couple of years ago by mail order. In this thick stew of bowdlerised psychoanalysis, electronics, hypnosis, counselling techniques, eastern mysticism and home-spun American philosophy, L. Ron Hubbard claims to be able to save the world. Since 1950 when his articles about Dianetics first appeared in the pages of Astounding Science Fiction the wilful jargon has grown steadily more dense and perverse, and Dianetics, the self-styled science, has given birth to Scientology, the self-styled religious philosophy. It uses a version of the christian cross as one of its symbols, copyrights all its signs and key words, and charges the bargain price of £2,424 for its complete library of cassette tapes. And they will not stop writing to me.

The basic message behind Scientology goes something like this: there is nothing fundamentally amiss with the natural world or even the human social world. What is causing all the problems is the irrationality of individuals, who have been mentally damaged, in some cases from their conception onwards. The only hope for the world is to cure all these people with "religious technology". But just in case that proves to be too much of a long shot, you can learn to become a theta clear, in which case you will continue to exist even if the world is destroyed by hydrogen bombs.

Scientology has obviously tapped a deep well of need because it now has "churches" and contacts all over those parts of the world which are subject to American influence. Its particular bland of pseudo-science with older religious ideas has appealed to otherwise sceptical minds. Its shift of emphasis from sin to mental illness is one that christianity has not quite succeeded in making, but the psychiatric industry has proved it to be a huge money-spinner for decades.

Scientology is not alone, of course. Transendental Meditation, Life Wave, and many other variants of Yoga and Buddhism which emphasise mental health and power have attracted thousands of followers in America, Australasia and Europe. Many of them have parted with considerable sums of money.

The world in which these religions and cults and movements have grown up is the post-war one of the nuclear threat. It is a world in which mental hospitals have grown steadily in capacity; in which the prescription of sleeping pills, tranquillisers and anti-depressants has developed into a multi-million-pound industry; and in which the consumption of alcohol, marijuana and the hard drugs has relentlessly expanded.

But the trend is a complex one. It may well be true that men and women of today's working class (and capitalist class too) are more afraid, worried, stressed, frustrated than our parents or grandparents were. But it may also be true that such forms of misery are more likely to be recognised when the more physical deprivations of hunger, disease and squalor have been somewhat alleviated. Psychiatry is treating many of the sufferers, but then the expectations of happiness and fulfilment has itself been partly fostered by psychiatry. As priests and drug pedlars long ago discovered, the really lucrative trade is one in which the commodity creates a dependency and never fully satisfies the craving.

As Professor Thomas Szasz shows in his book, The Manufacture of Madness, psychiatry took over, in the name of science, those areas of sin, witchcraft, demonology, heresy and other non-conforming or anti-social behaviour that had previously been largely the domain of the established church. By giving scientific-sounding names to feelings, attitudes and patterns of behaviour and by defining mental illness in a way that includes everyone, psychiatry has grown into an established section of the medical and penal apparatus of modern capitalist society. In the totalitarian states of Nazi Germany or "communist" Russia, psychiatry performed a role like that of the Spanish Inquisition, rooting out deviants, torturing and punishing traitors and spies. In the USA and many other states "mental illnesses" or "aggression" or some similar expression has become a way of labelling and condemning ideas and behaviour which are not approved of by the ruling class.

Psychiatry grew up with the social system of capitalism. The "scientific" approach, the focus on the individual to fulfilment and happiness, the blurring and fading of moral and social values in a money-profit orientated society, the reality of individual coercion under the guise of helping and healing — all of theses are obvious facets of the ideology of capitalism. Like the other social "sciences", psychiatry is largely a rationalisation of oppression and a means of control.

There is something bitterly amusing about L. Ron Hubbard's making up the pseudo-religion of Scientology out of the pseudo-science of psychiatry. Each stage fosters the illusion of progress, of increasing freedom and control, whereas all that is new is the jargon. Like priesthoods down the ages, those of Scientology are assisting in the frustration and oppression of their followers, not helping to liberate them.

The unhappiness and frustration felt by millions of men and women throughout the world are not irrational reactions to the world of the hydrogen bomb, the rat race and the dole queue. Our feelings of helplessness and depression, perhaps our sudden bursts of fury and destructiveness, are not symptoms of mental illness. Unless we can see the one way out of this maze, there is no reasonable way in which we can behave in such a world. We are very much like rats in a cage. "Irrational" behaviour is only to be expected. It is not even peculiar to the social system of capitalism. There is plenty of evidence to show that such behaviour was common during the ages of feudalism, and also during the slave empires which came before that. But at least serfs and slaves were openly suppressed by violence or the threat of it. No one seriously questions the fact that they were exploited to maintain the power and luxury of the ruling aristocracy. But it is not nearly so readily accepted that capitalist society oppresses and exploits in a way which has a far greater impact on the individual member of the working class.

The oppression in capitalist society is primarily economic. Lack of any access to the means of making a living (such as the serf's strip of land) forces members of the working class to sell their brains or their brawn to employers. It is this state of dependency on finding a job which is the real mark of poverty or servitude, whatever the wage or salary may be when it is obtained. And if your expected social function, for which you have been schooled and trained, is to work; and if your standard of living, mortgage repayments, heating bills, hire purchase agreements, children's clothes, all depend on it, and then you are made redundant — it is hardly surprising you feel upset or depressed or afraid of the future or even a complete failure. When the ruling ideology insists through its advertising and education and entertainment industry that every individual has equality of opportunity, the only implication can be that it is your own fault if you are not rich and powerful and happy. If realising this makes you act in a surly, unco-operative way, then it is obvious that you need strong management — even the forces of law and order — to keep you in line.

Religions, ancient or modern, play their part in this continual process of mental control, of governing the great majority of the population without appearing to use force and without stirring up consciously organised opposition. They focus attention firmly on the individual's state of mind and personal behaviour. And that is where they lay the blame for social ills. But psychiatry is the true successor to the mediaeval church. Although blame has been replaced by pity (or professional concern) and punishment has been replaced by treatment, it is psychiatrists who can now recommend committal to mental institutions "for the patient's own good", and can prescribe electric shock therapy and other punishments to save the person's soul from the devil — to make him or her a happy, useful member of society.

The misery which is being attended to by the churches and the psychiatrists or being deadened by drugs is the force for social revolution. It is the working out, through individual people, of the contradictions and conflicts which are intensifying in the social system of capitalism. It is the outcome of the increasing exploitation and oppression, but also the increasing education and awareness of members of the working class. It is the result of continually raised expectations set against repeatedly frustrated efforts. It is misery which cannot help but grow as the capitalist regime becomes increasingly obsolete and destructive. State supported or commercially opportunist ventures will, no doubt, continue to offer various mixtures of mysticism and mental manipulation to divert working class attention and anger away from the solution of democratic revolution, but these can only delay the outcome.

"Mental health", "happiness", "a state of grace", "being clear"— whatever jargon we use — the condition is impossible in a social regime where one minority class rules and exploits most of the people for profit. No doubt our fellow workers as a whole will resort to every blind alley in the maze before they opt for revolution, but there is no other way out.
Ron Cook

1 comment:

  1. I had to reformat this article on the blog. This was the original intro - dating from May 8th, 2008 - to this Ron Cook article from the March 1985 issue of the Socialist Standard:

    "From the archives of the Socialist Standard, and recently reprinted on the SPGB blog, Socialism Or Your Money Back:

    Scientology makes the news from time to time, often in connection with some of the religion's celebrity adherents. In Norway recently however, the creed has received some negative press because of the suicide of a young woman. Apparently just two hours before her death she learned how badly she had done in one of the personality tests used by the group. Believers have been quick to state that Scientology helps rather than harms those with mental health problems. Critics have taken the opportunity to state that the group is only really interested in making money. What you may ask is the Socialist position?

    The Socialist Standard of March 1985 has an excellent article titled 'Sick...sick...sick...' by Ron Cook, whose death last Friday robs the movement of a fine Comrade and passionate Socialist . . . "
